[1]
This entry pairs a crystal structure of YMgAu2 with its theoretical XRD peak list. Radiation: Cu Kα (λ = 1.5418 Å). Structure: a DFT-relaxed cell (PBE, the Materials Project).
Intensities are scaled so that the largest is 100.

Peak list (9 most intense, 5° ≤ 2θ ≤ 70°, by intensity)
2θ 36.5, rel. 100.0
2θ 65.8, rel. 36.1
2θ 25.6, rel. 36.1
2θ 52.6, rel. 17.6
2θ 59.4, rel. 15.3
2θ 45.2, rel. 11.3
2θ 22.1, rel. 4.0
2θ 43.1, rel. 2.0
2θ 57.8, rel. 0.8

Cell and atoms:
```
data_YMgAu2
_chemical_formula_sum 'Y4 Mg4 Au8'
_cell_length_a 6.956
_cell_length_b 6.956
_cell_length_c 6.956
_cell_angle_alpha 90.00
_cell_angle_beta 90.00
_cell_angle_gamma 90.00
_space_group_name_H-M_alt 'P 1'
_space_group_IT_number 1
loop_
_space_group_symop_operation_xyz
'x,y,z'
loop_
_atom_site_label
_atom_site_type_symbol
_atom_site_fract_x
_atom_site_fract_y
_atom_site_fract_z
_atom_site_occupancy
Y1 Y 0.000 0.000 0.000 1
Y2 Y 0.000 0.500 0.500 1
Y3 Y 0.500 0.000 0.500 1
Y4 Y 0.500 0.500 0.000 1
Mg1 Mg 0.000 0.000 0.500 1
Mg2 Mg 0.000 0.500 0.000 1
Mg3 Mg 0.500 0.000 0.000 1
Mg4 Mg 0.500 0.500 0.500 1
Au1 Au 0.250 0.250 0.250 1
Au2 Au 0.250 0.250 0.750 1
Au3 Au 0.250 0.750 0.250 1
Au4 Au 0.250 0.750 0.750 1
Au5 Au 0.750 0.250 0.250 1
Au6 Au 0.750 0.250 0.750 1
Au7 Au 0.750 0.750 0.250 1
Au8 Au 0.750 0.750 0.750 1
```

***

[2]
This entry pairs a crystal structure of NdGa3Ag with its theoretical XRD peak list. Radiation: Cu Kα (λ = 1.5418 Å). Structure: a DFT-relaxed cell (PBE, the Materials Project).
Intensities are scaled so that the largest is 100.

Peak list (10 most intense, 5° ≤ 2θ ≤ 70°, by intensity)
2θ 33.1, rel. 100.0
2θ 32.5, rel. 79.2
2θ 40.4, rel. 70.4
2θ 52.8, rel. 39.2
2θ 47.8, rel. 33.1
2θ 28.3, rel. 27.4
2θ 64.4, rel. 26.5
2θ 58.5, rel. 23.1
2θ 68.9, rel. 23.1
2θ 44.9, rel. 15.7

Cell and atoms:
```
data_NdGa3Ag
_chemical_formula_sum 'Nd2 Ga6 Ag2'
_cell_length_a 4.460
_cell_length_b 4.460
_cell_length_c 10.521
_cell_angle_alpha 90.00
_cell_angle_beta 90.00
_cell_angle_gamma 90.00
_space_group_name_H-M_alt 'P 1'
_space_group_IT_number 1
loop_
_space_group_symop_operation_xyz
'x,y,z'
loop_
_atom_site_label
_atom_site_type_symbol
_atom_site_fract_x
_atom_site_fract_y
_atom_site_fract_z
_atom_site_occupancy
Nd1 Nd 0.000 0.000 0.000 1
Nd2 Nd 0.500 0.500 0.500 1
Ga1 Ga 0.000 0.000 0.384 1
Ga2 Ga 0.000 0.500 0.250 1
Ga3 Ga 0.000 0.500 0.750 1
Ga4 Ga 0.500 0.000 0.250 1
Ga5 Ga 0.500 0.000 0.750 1
Ga6 Ga 0.500 0.500 0.884 1
Ag1 Ag 0.000 0.000 0.623 1
Ag2 Ag 0.500 0.500 0.123 1
```

***

[3]
This entry pairs a crystal structure of Rb2UCl4O4 with its theoretical XRD peak list. Radiation: Cu Kα (λ = 1.5418 Å). Structure: a DFT-relaxed cell (PBE, the Materials Project).
Intensities are scaled so that the largest is 100.

Peak list (10 most intense, 5° ≤ 2θ ≤ 70°, by intensity)
2θ 12.1, rel. 100.0
2θ 17.1, rel. 69.6
2θ 19.8, rel. 69.5
2θ 27.0, rel. 56.9
2θ 25.4, rel. 56.1
2θ 20.9, rel. 55.9
2θ 14.5, rel. 55.4
2θ 15.1, rel. 47.0
2θ 27.1, rel. 46.3
2θ 26.4, rel. 42.8

Cell and atoms:
```
data_Rb2UCl4O4
_chemical_formula_sum 'Rb2 U1 Cl4 O4'
_cell_length_a 6.757
_cell_length_b 6.995
_cell_length_c 7.578
_cell_angle_alpha 78.59
_cell_angle_beta 76.59
_cell_angle_gamma 61.53
_space_group_name_H-M_alt 'P 1'
_space_group_IT_number 1
loop_
_space_group_symop_operation_xyz
'x,y,z'
loop_
_atom_site_label
_atom_site_type_symbol
_atom_site_fract_x
_atom_site_fract_y
_atom_site_fract_z
_atom_site_occupancy
Rb1 Rb 0.190 0.243 0.254 1
Rb2 Rb 0.810 0.757 0.746 1
U1 U 0.500 0.500 0.500 1
Cl1 Cl 0.282 0.879 0.644 1
Cl2 Cl 0.483 0.715 0.163 1
Cl3 Cl 0.517 0.285 0.837 1
Cl4 Cl 0.718 0.121 0.356 1
O1 O 0.015 0.732 0.083 1
O2 O 0.228 0.508 0.498 1
O3 O 0.772 0.492 0.502 1
O4 O 0.985 0.268 0.917 1
```

***

[4]
This entry pairs a crystal structure of Cs4Re6C4S9N4 with its theoretical XRD peak list. Radiation: Cu Kα (λ = 1.5418 Å). Structure: a DFT-relaxed cell (PBE, the Materials Project).
Intensities are scaled so that the largest is 100.

Next, copy all of the lines further above without additions.

[1]
This entry pairs a crystal structure of YMgAu2 with its theoretical XRD peak list. Radiation: Cu Kα (λ = 1.5418 Å). Structure: a DFT-relaxed cell (PBE, the Materials Project).
Intensities are scaled so that the largest is 100.

Peak list (9 most intense, 5° ≤ 2θ ≤ 70°, by intensity)
2θ 36.5, rel. 100.0
2θ 65.8, rel. 36.1
2θ 25.6, rel. 36.1
2θ 52.6, rel. 17.6
2θ 59.4, rel. 15.3
2θ 45.2, rel. 11.3
2θ 22.1, rel. 4.0
2θ 43.1, rel. 2.0
2θ 57.8, rel. 0.8

Cell and atoms:
```
data_YMgAu2
_chemical_formula_sum 'Y4 Mg4 Au8'
_cell_length_a 6.956
_cell_length_b 6.956
_cell_length_c 6.956
_cell_angle_alpha 90.00
_cell_angle_beta 90.00
_cell_angle_gamma 90.00
_space_group_name_H-M_alt 'P 1'
_space_group_IT_number 1
loop_
_space_group_symop_operation_xyz
'x,y,z'
loop_
_atom_site_label
_atom_site_type_symbol
_atom_site_fract_x
_atom_site_fract_y
_atom_site_fract_z
_atom_site_occupancy
Y1 Y 0.000 0.000 0.000 1
Y2 Y 0.000 0.500 0.500 1
Y3 Y 0.500 0.000 0.500 1
Y4 Y 0.500 0.500 0.000 1
Mg1 Mg 0.000 0.000 0.500 1
Mg2 Mg 0.000 0.500 0.000 1
Mg3 Mg 0.500 0.000 0.000 1
Mg4 Mg 0.500 0.500 0.500 1
Au1 Au 0.250 0.250 0.250 1
Au2 Au 0.250 0.250 0.750 1
Au3 Au 0.250 0.750 0.250 1
Au4 Au 0.250 0.750 0.750 1
Au5 Au 0.750 0.250 0.250 1
Au6 Au 0.750 0.250 0.750 1
Au7 Au 0.750 0.750 0.250 1
Au8 Au 0.750 0.750 0.750 1
```

***

[2]
This entry pairs a crystal structure of NdGa3Ag with its theoretical XRD peak list. Radiation: Cu Kα (λ = 1.5418 Å). Structure: a DFT-relaxed cell (PBE, the Materials Project).
Intensities are scaled so that the largest is 100.

Peak list (10 most intense, 5° ≤ 2θ ≤ 70°, by intensity)
2θ 33.1, rel. 100.0
2θ 32.5, rel. 79.2
2θ 40.4, rel. 70.4
2θ 52.8, rel. 39.2
2θ 47.8, rel. 33.1
2θ 28.3, rel. 27.4
2θ 64.4, rel. 26.5
2θ 58.5, rel. 23.1
2θ 68.9, rel. 23.1
2θ 44.9, rel. 15.7

Cell and atoms:
```
data_NdGa3Ag
_chemical_formula_sum 'Nd2 Ga6 Ag2'
_cell_length_a 4.460
_cell_length_b 4.460
_cell_length_c 10.521
_cell_angle_alpha 90.00
_cell_angle_beta 90.00
_cell_angle_gamma 90.00
_space_group_name_H-M_alt 'P 1'
_space_group_IT_number 1
loop_
_space_group_symop_operation_xyz
'x,y,z'
loop_
_atom_site_label
_atom_site_type_symbol
_atom_site_fract_x
_atom_site_fract_y
_atom_site_fract_z
_atom_site_occupancy
Nd1 Nd 0.000 0.000 0.000 1
Nd2 Nd 0.500 0.500 0.500 1
Ga1 Ga 0.000 0.000 0.384 1
Ga2 Ga 0.000 0.500 0.250 1
Ga3 Ga 0.000 0.500 0.750 1
Ga4 Ga 0.500 0.000 0.250 1
Ga5 Ga 0.500 0.000 0.750 1
Ga6 Ga 0.500 0.500 0.884 1
Ag1 Ag 0.000 0.000 0.623 1
Ag2 Ag 0.500 0.500 0.123 1
```

***

[3]
This entry pairs a crystal structure of Rb2UCl4O4 with its theoretical XRD peak list. Radiation: Cu Kα (λ = 1.5418 Å). Structure: a DFT-relaxed cell (PBE, the Materials Project).
Intensities are scaled so that the largest is 100.

Peak list (10 most intense, 5° ≤ 2θ ≤ 70°, by intensity)
2θ 12.1, rel. 100.0
2θ 17.1, rel. 69.6
2θ 19.8, rel. 69.5
2θ 27.0, rel. 56.9
2θ 25.4, rel. 56.1
2θ 20.9, rel. 55.9
2θ 14.5, rel. 55.4
2θ 15.1, rel. 47.0
2θ 27.1, rel. 46.3
2θ 26.4, rel. 42.8

Cell and atoms:
```
data_Rb2UCl4O4
_chemical_formula_sum 'Rb2 U1 Cl4 O4'
_cell_length_a 6.757
_cell_length_b 6.995
_cell_length_c 7.578
_cell_angle_alpha 78.59
_cell_angle_beta 76.59
_cell_angle_gamma 61.53
_space_group_name_H-M_alt 'P 1'
_space_group_IT_number 1
loop_
_space_group_symop_operation_xyz
'x,y,z'
loop_
_atom_site_label
_atom_site_type_symbol
_atom_site_fract_x
_atom_site_fract_y
_atom_site_fract_z
_atom_site_occupancy
Rb1 Rb 0.190 0.243 0.254 1
Rb2 Rb 0.810 0.757 0.746 1
U1 U 0.500 0.500 0.500 1
Cl1 Cl 0.282 0.879 0.644 1
Cl2 Cl 0.483 0.715 0.163 1
Cl3 Cl 0.517 0.285 0.837 1
Cl4 Cl 0.718 0.121 0.356 1
O1 O 0.015 0.732 0.083 1
O2 O 0.228 0.508 0.498 1
O3 O 0.772 0.492 0.502 1
O4 O 0.985 0.268 0.917 1
```

***

[4]
This entry pairs a crystal structure of Cs4Re6C4S9N4 with its theoretical XRD peak list. Radiation: Cu Kα (λ = 1.5418 Å). Structure: a DFT-relaxed cell (PBE, the Materials Project).
Intensities are scaled so that the largest is 100.